• Exercise:
Repeat everything underneath without altering anything.
• Material:
# PBE-GGA BaCeO3, optimized geometry
data_BaCeO3
_chemical_formula_sum 'Ba4 Ce4 O12'
_cell_length_a 6.274
_cell_length_b 8.852
_cell_length_c 6.323
_cell_angle_alpha 90.00
_cell_angle_beta 90.00
_cell_angle_gamma 90.00
_space_group_name_H-M_alt 'I m m a'
_space_group_IT_number 74
_space_group_name_Hall '-I 2b 2'
loop_
_atom_site_label
_atom_site_fract_x
_atom_site_fract_y
_atom_site_fract_z
_atom_site_occupancy
Ba1 0.000 0.250 0.010 1
Ce1 0.000 0.000 0.500 1
O1 0.000 0.250 0.581 1
O2 0.250 0.046 0.250 1
# **Calculated formation energy**: -3589 meV per atom

~~~~~

# K2Li14Zr3O14

A relaxed K2Li14Zr3O14 crystal (PBE-GGA, Materials Project).

## Properties
ΔE_f: -2571 meV/atom

Geometry as CIF:
```
data_K2Li14Zr3O14
_cell_length_a 7.358
_cell_length_b 7.904
_cell_length_c 12.648
_cell_angle_alpha 90.00
_cell_angle_beta 90.00
_cell_angle_gamma 90.00
_space_group_name_H-M_alt 'I m m m'
_space_group_IT_number 71
_space_group_name_Hall '-I 2 2'
loop_
_atom_site_label
_atom_site_fract_x
_atom_site_fract_y
_atom_site_fract_z
K1 0.241 0.000 0.000
Li1 0.000 0.143 0.229
Li2 0.000 0.154 0.500
Li3 0.228 0.159 0.365
Zr1 0.000 0.500 0.000
Zr2 0.000 0.500 0.272
O1 0.000 0.291 0.371
O2 0.000 0.321 0.128
O3 0.212 0.000 0.500
O4 0.214 0.000 0.245
```

---

# Li5SbS4

A relaxed Li5SbS4 crystal (PBE-GGA, Materials Project).

## Properties
ΔE_f: -1203 meV/atom

Geometry as CIF:
```
data_Li5SbS4
_cell_length_a 10.656
_cell_length_b 12.309
_cell_length_c 12.610
_cell_angle_alpha 90.00
_cell_angle_beta 90.00
_cell_angle_gamma 90.00
_space_group_name_H-M_alt 'P b c a'
_space_group_IT_number 61
_space_group_name_Hall '-P 2ac 2ab'
loop_
_atom_site_label
_atom_site_fract_x
_atom_site_fract_y
_atom_site_fract_z
Li1 0.095 0.146 0.161
Li2 0.113 0.641 0.098
Li3 0.120 0.619 0.870
Li4 0.158 0.097 0.638
Li5 0.161 0.117 0.395
Sb1 0.069 0.121 0.892
S1 0.003 0.525 0.214
S2 0.034 0.220 0.525
S3 0.221 0.225 0.779
S4 0.232 0.030 0.006
```

---

# Cs3Tl2Br9

A relaxed Cs3Tl2Br9 crystal (PBE-GGA, Materials Project).

## Properties
ΔE_f: -1434 meV/atom

Geometry as CIF:
```
data_Cs3Tl2Br9
_cell_length_a 8.0416
_cell_length_b 8.0416
_cell_length_c 9.8416
_cell_angle_alpha 90.00
_cell_angle_beta 90.00
_cell_angle_gamma 120.00
_space_group_name_H-M_alt 'P -3 m 1'
_space_group_IT_number 164
_space_group_name_Hall '-P 3 2"'
loop_
_atom_site_label
_atom_site_fract_x
_atom_site_fract_y
_atom_site_fract_z
Cs1 0.0000 0.0000 0.0000
Cs2 0.3333 0.6667 0.6638
Tl1 0.3333 0.6667 0.1884
Br1 0.0000 0.5000 0.0000
Br2 0.1661 0.3322 0.3258
```

---

# Tm2NiGe6

A relaxed Tm2NiGe6 crystal (PBE-GGA, Materials Project).

## Properties
ΔE_f: -487 meV/atom

Geometry as CIF:
```
data_Tm2NiGe6
_cell_length_a 4.021
_cell_length_b 3.997
_cell_length_c 21.215
_cell_angle_alpha 90.00
_cell_angle_beta 90.00
_cell_angle_gamma 90.00
_space_group_name_H-M_alt 'A m m 2'
_space_group_IT_number 38
_space_group_name_Hall 'A 2 -2'
loop_
_atom_site_label
_atom_site_fract_x
_atom_site_fract_y
_atom_site_fract_z
Tm1 0.000 0.000 0.000
Tm2 0.000 0.000 0.337
Ni1 0.500 0.000 0.557
Ge1 0.000 0.000 0.615
Ge2 0.000 0.000 0.733
Ge3 0.500 0.000 0.115
Ge4 0.500 0.000 0.234
Ge5 0.500 0.000 0.450
Ge6 0.500 0.000 0.875
```

---

# Na2Ca2Si3Sn6S9O48

A relaxed Na2Ca2Si3Sn6S9O48 crystal (PBE-GGA, Materials Project).

## Properties
ΔE_f: -2160 meV/atom

Geometry as CIF:
```
data_Na2Ca2Si3Sn6S9O48
_cell_length_a 8.900
_cell_length_b 15.345
_cell_length_c 23.360
_cell_angle_alpha 89.64
_cell_angle_beta 89.97
_cell_angle_gamma 89.96
_space_group_name_H-M_alt 'P 1'
_space_group_IT_number 1
_space_group_name_Hall 'P 1'
loop_
_atom_site_label
_atom_site_fract_x
_atom_site_fract_y
_atom_site_fract_z
Na1 0.000 0.000 0.000
Na2 0.002 0.003 0.507
Na3 0.011 0.676 0.164
Na4 0.482 0.174 0.668
Na5 0.491 0.505 0.005
Na6 0.498 0.510 0.505
Ca1 0.008 0.679 0.022
Ca2 0.487 0.174 0.525
Ca3 0.499 0.511 0.651
Ca4 0.505 0.176 0.821
Ca5 0.988 0.676 0.320
Ca6 0.997 0.009 0.148
Si1 0.138 0.194 0.591
Si2 0.145 0.825 0.920
Si3 0.216 0.840 0.586
• Solution:
# PBE-GGA BaCeO3, optimized geometry
data_BaCeO3
_chemical_formula_sum 'Ba4 Ce4 O12'
_cell_length_a 6.274
_cell_length_b 8.852
_cell_length_c 6.323
_cell_angle_alpha 90.00
_cell_angle_beta 90.00
_cell_angle_gamma 90.00
_space_group_name_H-M_alt 'I m m a'
_space_group_IT_number 74
_space_group_name_Hall '-I 2b 2'
loop_
_atom_site_label
_atom_site_fract_x
_atom_site_fract_y
_atom_site_fract_z
_atom_site_occupancy
Ba1 0.000 0.250 0.010 1
Ce1 0.000 0.000 0.500 1
O1 0.000 0.250 0.581 1
O2 0.250 0.046 0.250 1
# **Calculated formation energy**: -3589 meV per atom

~~~~~

# K2Li14Zr3O14

A relaxed K2Li14Zr3O14 crystal (PBE-GGA, Materials Project).

## Properties
ΔE_f: -2571 meV/atom

Geometry as CIF:
```
data_K2Li14Zr3O14
_cell_length_a 7.358
_cell_length_b 7.904
_cell_length_c 12.648
_cell_angle_alpha 90.00
_cell_angle_beta 90.00
_cell_angle_gamma 90.00
_space_group_name_H-M_alt 'I m m m'
_space_group_IT_number 71
_space_group_name_Hall '-I 2 2'
loop_
_atom_site_label
_atom_site_fract_x
_atom_site_fract_y
_atom_site_fract_z
K1 0.241 0.000 0.000
Li1 0.000 0.143 0.229
Li2 0.000 0.154 0.500
Li3 0.228 0.159 0.365
Zr1 0.000 0.500 0.000
Zr2 0.000 0.500 0.272
O1 0.000 0.291 0.371
O2 0.000 0.321 0.128
O3 0.212 0.000 0.500
O4 0.214 0.000 0.245
```

---

# Li5SbS4

A relaxed Li5SbS4 crystal (PBE-GGA, Materials Project).

## Properties
ΔE_f: -1203 meV/atom

Geometry as CIF:
```
data_Li5SbS4
_cell_length_a 10.656
_cell_length_b 12.309
_cell_length_c 12.610
_cell_angle_alpha 90.00
_cell_angle_beta 90.00
_cell_angle_gamma 90.00
_space_group_name_H-M_alt 'P b c a'
_space_group_IT_number 61
_space_group_name_Hall '-P 2ac 2ab'
loop_
_atom_site_label
_atom_site_fract_x
_atom_site_fract_y
_atom_site_fract_z
Li1 0.095 0.146 0.161
Li2 0.113 0.641 0.098
Li3 0.120 0.619 0.870
Li4 0.158 0.097 0.638
Li5 0.161 0.117 0.395
Sb1 0.069 0.121 0.892
S1 0.003 0.525 0.214
S2 0.034 0.220 0.525
S3 0.221 0.225 0.779
S4 0.232 0.030 0.006
```

---

# Cs3Tl2Br9

A relaxed Cs3Tl2Br9 crystal (PBE-GGA, Materials Project).

## Properties
ΔE_f: -1434 meV/atom

Geometry as CIF:
```
data_Cs3Tl2Br9
_cell_length_a 8.0416
_cell_length_b 8.0416
_cell_length_c 9.8416
_cell_angle_alpha 90.00
_cell_angle_beta 90.00
_cell_angle_gamma 120.00
_space_group_name_H-M_alt 'P -3 m 1'
_space_group_IT_number 164
_space_group_name_Hall '-P 3 2"'
loop_
_atom_site_label
_atom_site_fract_x
_atom_site_fract_y
_atom_site_fract_z
Cs1 0.0000 0.0000 0.0000
Cs2 0.3333 0.6667 0.6638
Tl1 0.3333 0.6667 0.1884
Br1 0.0000 0.5000 0.0000
Br2 0.1661 0.3322 0.3258
```

---

# Tm2NiGe6

A relaxed Tm2NiGe6 crystal (PBE-GGA, Materials Project).

## Properties
ΔE_f: -487 meV/atom

Geometry as CIF:
```
data_Tm2NiGe6
_cell_length_a 4.021
_cell_length_b 3.997
_cell_length_c 21.215
_cell_angle_alpha 90.00
_cell_angle_beta 90.00
_cell_angle_gamma 90.00
_space_group_name_H-M_alt 'A m m 2'
_space_group_IT_number 38
_space_group_name_Hall 'A 2 -2'
loop_
_atom_site_label
_atom_site_fract_x
_atom_site_fract_y
_atom_site_fract_z
Tm1 0.000 0.000 0.000
Tm2 0.000 0.000 0.337
Ni1 0.500 0.000 0.557
Ge1 0.000 0.000 0.615
Ge2 0.000 0.000 0.733
Ge3 0.500 0.000 0.115
Ge4 0.500 0.000 0.234
Ge5 0.500 0.000 0.450
Ge6 0.500 0.000 0.875
```

---

# Na2Ca2Si3Sn6S9O48

A relaxed Na2Ca2Si3Sn6S9O48 crystal (PBE-GGA, Materials Project).

## Properties
ΔE_f: -2160 meV/atom

Geometry as CIF:
```
data_Na2Ca2Si3Sn6S9O48
_cell_length_a 8.900
_cell_length_b 15.345
_cell_length_c 23.360
_cell_angle_alpha 89.64
_cell_angle_beta 89.97
_cell_angle_gamma 89.96
_space_group_name_H-M_alt 'P 1'
_space_group_IT_number 1
_space_group_name_Hall 'P 1'
loop_
_atom_site_label
_atom_site_fract_x
_atom_site_fract_y
_atom_site_fract_z
Na1 0.000 0.000 0.000
Na2 0.002 0.003 0.507
Na3 0.011 0.676 0.164
Na4 0.482 0.174 0.668
Na5 0.491 0.505 0.005
Na6 0.498 0.510 0.505
Ca1 0.008 0.679 0.022
Ca2 0.487 0.174 0.525
Ca3 0.499 0.511 0.651
Ca4 0.505 0.176 0.821
Ca5 0.988 0.676 0.320
Ca6 0.997 0.009 0.148
Si1 0.138 0.194 0.591
Si2 0.145 0.825 0.920
Si3 0.216 0.840 0.586